File =
<<<
HfTaRe2 PBE relaxed; space group = Fm-3m
1.0
-0.794 1.002 4.400
-3.773 2.319 1.177
-3.379 -2.117 2.258
Re Hf Ta
2 1 1
direct
0.250 0.250 0.250
0.750 0.750 0.750
0.500 0.500 0.500
0.000 0.000 0.000



HfRh PBE relaxed; space group = Pm-3m
1.0
-1.719 -0.785 2.678
2.728 0.190 1.806
-0.588 3.176 0.554
Rh Hf
1 1
direct
0.500 0.500 0.500
0.000 0.000 0.000



Hf2Rh PBE relaxed; space group = Fd-3m
1.0
0.000 6.175 6.175
6.175 0.000 6.175
6.175 6.175 0.000
Hf Rh
16 8
direct
0.064 0.436 0.064
0.436 0.064 0.064
0.186 0.814 0.814
0.436 0.064 0.436
0.186 0.814 0.186
0.125 0.625 0.625
0.814 0.186 0.186
0.186 0.186 0.814
0.625 0.625 0.125
0.436 0.436 0.064
0.064 0.436 0.436
0.814 0.814 0.186
0.625 0.625 0.625
0.064 0.064 0.436
0.814 0.186 0.814
0.625 0.125 0.625
0.460 0.847 0.847
0.403 0.403 0.403
0.847 0.847 0.460
0.403 0.790 0.403
0.847 0.847 0.847
0.403 0.403 0.790
0.847 0.460 0.847
0.790 0.403 0.403



ΔH_f (0 K) (computed, eV/f.u.): -1.60, -1.72, -1.84
Volume (computed, Å³/cell): 68.0, 35.2, 471.0
Energy (computed, eV/atom): -12.076, -9.519, -9.707

=====

No. 1
The following is a GGA+U calculation of MoPO5 after structural relaxation, from the Materials Project database.

POSCAR file:
```
MoPO5
1.0
3.7722 -3.7269 0.0000
3.7722 3.7269 0.0000
-3.5572 0.0000 6.5646
Mo P O
2 2 10
Cartesian
1.9936 1.9617 3.2823
3.7722 -1.9617 0.0000
-0.6420 0.9233 5.1416
1.1366 -0.9233 1.8593
-1.2641 0.0383 4.0327
0.5145 -0.0383 0.7504
0.4272 1.8706 4.5605
3.8340 1.8693 2.4582
-0.0255 0.0206 6.2378
1.7530 -0.0206 2.9555
3.1287 1.3120 5.1067
2.2058 -1.8706 1.2782
2.0554 -1.8693 5.7405
4.9072 -1.3120 1.8244
```

Properties
The value obtained for the offset from the most stable computed form is 3 meV/atom. The space group is Cc, No. 9. For the energy, the calculation gives -7.2621 eV/atom. As for the formation energy: -2.353 eV/atom.

---

No. 2
The following is a GGA+U calculation of Na3Fe2Ge3O12 after structural relaxation, from the Materials Project database.

POSCAR file:
```
Na3Fe2Ge3O12
1.0
-6.2021 6.2021 6.2021
6.2021 -6.2021 6.2021
6.2021 6.2021 -6.2021
Na Fe Ge O
12 8 12 48
Cartesian
3.1011 1.5505 0.0000
6.2021 3.1011 -1.5505
1.5505 0.0000 3.1011
7.7526 0.0000 3.1011
0.0000 3.1011 1.5505
3.1011 -1.5505 6.2021
3.1011 7.7526 0.0000
6.2021 3.1011 4.6516
-1.5505 6.2021 3.1011
4.6516 6.2021 3.1011
0.0000 3.1011 7.7526
3.1011 4.6516 6.2021
0.0000 0.0000 0.0000
3.1011 3.1011 -3.1011
3.1011 -3.1011 3.1011
6.2021 0.0000 0.0000
-3.1011 3.1011 3.1011
0.0000 6.2021 0.0000
0.0000 0.0000 6.2021
3.1011 3.1011 3.1011
9.3032 1.5505 0.0000
6.2021 -3.1011 4.6516
4.6516 6.2021 -3.1011
4.6516 0.0000 3.1011
3.1011 4.6516 0.0000
6.2021 3.1011 1.5505
0.0000 3.1011 4.6516
3.1011 1.5505 6.2021
1.5505 6.2021 3.1011
1.5505 0.0000 9.3032
0.0000 9.3032 1.5505
-3.1011 4.6516 6.2021
1.8464 -0.4251 0.5794
7.4568 3.6804 -3.5261
8.0485 0.4251 0.5794
7.4568 -2.5217 3.5261
5.7770 -0.5794 1.8464
9.7283 -1.2547 2.5217
0.5794 1.8464 -0.4251
8.7238 2.6760 -1.2547
3.6804 3.5261 -1.2547
5.6227 1.8464 0.4251
-0.4251 0.5794 1.8464
3.5261 -1.2547 3.6804
5.7770 5.6227 -1.8464
3.5261 1.2547 2.5217
3.6804 -3.5261 7.4568
5.6227 -1.8464 5.7770
2.5217 3.5261 1.2547
6.7815 4.3557 0.4251
3.5261 7.4568 -2.5217
5.7770 0.5794 4.3557
1.8464 5.7770 -0.5794
7.4568 2.5217 2.6760
1.2547 2.5217 3.5261
1.8464 0.4251 5.6227
4.3557 5.7770 0.5794
4.9475 3.6804 2.6760
-1.2547 3.6804 3.5261
4.3557 0.4251 6.7815
0.4251 5.6227 1.8464
2.6760 -1.2547 8.7238
-0.5794 1.8464 5.7770
3.6804 2.6760 4.9475
0.5794 8.0485 0.4251
2.5217 9.7283 -1.2547
2.6760 4.9475 3.6804
0.4251 0.5794 8.0485
2.6760 7.4568 2.5217
6.6272 5.6227 4.3557
0.5794 4.3557 5.7770
2.5217 2.6760 7.4568
-2.5217 3.5261 7.4568
5.6227 4.3557 6.6272
-3.5261 7.4568 3.6804
0.4251 6.7815 4.3557
-1.2547 8.7238 2.6760
-1.8464 5.7770 5.6227
-1.2547 2.5217 9.7283
4.3557 6.6272 5.6227
```

Properties
The space group is Ia-3d, No. 230. For the energy, the calculation gives -5.8605 eV/atom. As for the formation energy: -1.791 eV/atom.

---

No. 3
>>>

Work order =
Please print everything earlier on unchanged.

Outcome =
HfTaRe2 PBE relaxed; space group = Fm-3m
1.0
-0.794 1.002 4.400
-3.773 2.319 1.177
-3.379 -2.117 2.258
Re Hf Ta
2 1 1
direct
0.250 0.250 0.250
0.750 0.750 0.750
0.500 0.500 0.500
0.000 0.000 0.000



HfRh PBE relaxed; space group = Pm-3m
1.0
-1.719 -0.785 2.678
2.728 0.190 1.806
-0.588 3.176 0.554
Rh Hf
1 1
direct
0.500 0.500 0.500
0.000 0.000 0.000



Hf2Rh PBE relaxed; space group = Fd-3m
1.0
0.000 6.175 6.175
6.175 0.000 6.175
6.175 6.175 0.000
Hf Rh
16 8
direct
0.064 0.436 0.064
0.436 0.064 0.064
0.186 0.814 0.814
0.436 0.064 0.436
0.186 0.814 0.186
0.125 0.625 0.625
0.814 0.186 0.186
0.186 0.186 0.814
0.625 0.625 0.125
0.436 0.436 0.064
0.064 0.436 0.436
0.814 0.814 0.186
0.625 0.625 0.625
0.064 0.064 0.436
0.814 0.186 0.814
0.625 0.125 0.625
0.460 0.847 0.847
0.403 0.403 0.403
0.847 0.847 0.460
0.403 0.790 0.403
0.847 0.847 0.847
0.403 0.403 0.790
0.847 0.460 0.847
0.790 0.403 0.403



ΔH_f (0 K) (computed, eV/f.u.): -1.60, -1.72, -1.84
Volume (computed, Å³/cell): 68.0, 35.2, 471.0
Energy (computed, eV/atom): -12.076, -9.519, -9.707

=====

No. 1
The following is a GGA+U calculation of MoPO5 after structural relaxation, from the Materials Project database.

POSCAR file:
```
MoPO5
1.0
3.7722 -3.7269 0.0000
3.7722 3.7269 0.0000
-3.5572 0.0000 6.5646
Mo P O
2 2 10
Cartesian
1.9936 1.9617 3.2823
3.7722 -1.9617 0.0000
-0.6420 0.9233 5.1416
1.1366 -0.9233 1.8593
-1.2641 0.0383 4.0327
0.5145 -0.0383 0.7504
0.4272 1.8706 4.5605
3.8340 1.8693 2.4582
-0.0255 0.0206 6.2378
1.7530 -0.0206 2.9555
3.1287 1.3120 5.1067
2.2058 -1.8706 1.2782
2.0554 -1.8693 5.7405
4.9072 -1.3120 1.8244
```

Properties
The value obtained for the offset from the most stable computed form is 3 meV/atom. The space group is Cc, No. 9. For the energy, the calculation gives -7.2621 eV/atom. As for the formation energy: -2.353 eV/atom.

---

No. 2
The following is a GGA+U calculation of Na3Fe2Ge3O12 after structural relaxation, from the Materials Project database.

POSCAR file:
```
Na3Fe2Ge3O12
1.0
-6.2021 6.2021 6.2021
6.2021 -6.2021 6.2021
6.2021 6.2021 -6.2021
Na Fe Ge O
12 8 12 48
Cartesian
3.1011 1.5505 0.0000
6.2021 3.1011 -1.5505
1.5505 0.0000 3.1011
7.7526 0.0000 3.1011
0.0000 3.1011 1.5505
3.1011 -1.5505 6.2021
3.1011 7.7526 0.0000
6.2021 3.1011 4.6516
-1.5505 6.2021 3.1011
4.6516 6.2021 3.1011
0.0000 3.1011 7.7526
3.1011 4.6516 6.2021
0.0000 0.0000 0.0000
3.1011 3.1011 -3.1011
3.1011 -3.1011 3.1011
6.2021 0.0000 0.0000
-3.1011 3.1011 3.1011
0.0000 6.2021 0.0000
0.0000 0.0000 6.2021
3.1011 3.1011 3.1011
9.3032 1.5505 0.0000
6.2021 -3.1011 4.6516
4.6516 6.2021 -3.1011
4.6516 0.0000 3.1011
3.1011 4.6516 0.0000
6.2021 3.1011 1.5505
0.0000 3.1011 4.6516
3.1011 1.5505 6.2021
1.5505 6.2021 3.1011
1.5505 0.0000 9.3032
0.0000 9.3032 1.5505
-3.1011 4.6516 6.2021
1.8464 -0.4251 0.5794
7.4568 3.6804 -3.5261
8.0485 0.4251 0.5794
7.4568 -2.5217 3.5261
5.7770 -0.5794 1.8464
9.7283 -1.2547 2.5217
0.5794 1.8464 -0.4251
8.7238 2.6760 -1.2547
3.6804 3.5261 -1.2547
5.6227 1.8464 0.4251
-0.4251 0.5794 1.8464
3.5261 -1.2547 3.6804
5.7770 5.6227 -1.8464
3.5261 1.2547 2.5217
3.6804 -3.5261 7.4568
5.6227 -1.8464 5.7770
2.5217 3.5261 1.2547
6.7815 4.3557 0.4251
3.5261 7.4568 -2.5217
5.7770 0.5794 4.3557
1.8464 5.7770 -0.5794
7.4568 2.5217 2.6760
1.2547 2.5217 3.5261
1.8464 0.4251 5.6227
4.3557 5.7770 0.5794
4.9475 3.6804 2.6760
-1.2547 3.6804 3.5261
4.3557 0.4251 6.7815
0.4251 5.6227 1.8464
2.6760 -1.2547 8.7238
-0.5794 1.8464 5.7770
3.6804 2.6760 4.9475
0.5794 8.0485 0.4251
2.5217 9.7283 -1.2547
2.6760 4.9475 3.6804
0.4251 0.5794 8.0485
2.6760 7.4568 2.5217
6.6272 5.6227 4.3557
0.5794 4.3557 5.7770
2.5217 2.6760 7.4568
-2.5217 3.5261 7.4568
5.6227 4.3557 6.6272
-3.5261 7.4568 3.6804
0.4251 6.7815 4.3557
-1.2547 8.7238 2.6760
-1.8464 5.7770 5.6227
-1.2547 2.5217 9.7283
4.3557 6.6272 5.6227
```

Properties
The space group is Ia-3d, No. 230. For the energy, the calculation gives -5.8605 eV/atom. As for the formation energy: -1.791 eV/atom.

---

No. 3